Job:
It remains to echo the listing below from the first line to the one with "_space_group_name_H-M_alt 'P" exactly.

Material:
-- begin --
The following is a meta-GGA SCAN calculation of a crystal of AlRe2W relaxed with PBEsol, from Alexandria via LeMat-Bulk.

Results
* VASP energy: -220.06 eV per cell
* DFT formation energy: -105 meV per atom

```
data_AlRe2W
_chemical_formula_sum 'Al1 Re2 W1'
_space_group_name_H-M_alt 'P 1 m 1'
_space_group_IT_number 6
_space_group_name_Hall 'P -2y'
_cell_length_a 2.736
_cell_length_b 4.271
_cell_length_c 5.188
_cell_angle_alpha 90.00
_cell_angle_beta 104.35
_cell_angle_gamma 90.00
loop_
_atom_site_label
_atom_site_type_symbol
_atom_site_fract_x
_atom_site_fract_y
_atom_site_fract_z
Al1 Al 0.000 0.000 0.000
Re1 Re 0.510 0.000 0.494
Re2 Re 0.784 0.500 0.249
W1 W 0.319 0.500 0.759
```
-- stop --

Written answer:
The following is a meta-GGA SCAN calculation of a crystal of AlRe2W relaxed with PBEsol, from Alexandria via LeMat-Bulk.

Results
* VASP energy: -220.06 eV per cell
* DFT formation energy: -105 meV per atom

```
data_AlRe2W
_chemical_formula_sum 'Al1 Re2 W1'
_space_group_name_H-M_alt 'P 1 m 1'